February 6, 2018
While the IAFF Center of Excellence is one of many treatment facilities that treats substance abuse and mental health disorders, many features of our facility aren’t found anywhere else. The more than 200 men and women we’ve treated since opening our doors can attest to what makes the Center of Excellence unique.
In the spring of 2017, we became the first specialized treatment center dedicated to post-traumatic stress disorder (PTSD) and co-occurring addictions exclusively for IAFF members. Through our partnership with Advanced Recovery Systems, we provide a familiar environment that is both functional and therapeutic for IAFF members to aid in their recovery.
We understand the unique culture of the fire service, and created our Center with fire fighters/paramedics in mind. At the Center of Excellence, you’re treated like family, just as you are at the firehouse, and undergo treatment with other IAFF members who share similar experiences. In addition, the Center features many amenities and special features, including a well-equipped gym and firehouse-style kitchen.
The IAFF Center of Excellence is licensed to treat numerous addiction or dependence disorders involving medication, alcohol or illicit drugs, but we treat other addictions as well, including sex addiction, pornography addiction and gambling addiction. On the mental health side, we address PTSD, depression, bipolar affective disorder, complicated grief, obsessive compulsive disorder, social anxiety and several other mental health disorders.
Many treatment facilities are licensed to treat mental illness, but only if it co-occurs with addiction. The IAFF Center of Excellence, however, is a dually licensed facility, which allows us to treat these conditions separately or simultaneously. If you’re struggling with PTSD or any other mental disorder, and you are not addicted to any substances, we can treat you. If you’re grapple with addiction, but you don’t feel any major mental health concerns, we can treat you. If you deal with a substance use disorder and a mental health disorder, we can treat you.
~~~
# 1
Computed powder diffraction line list
Compound: AgBiAsSe2
Radiation: copper Kα
Structure: DFT lattice parameters and positions (PBE)
Lines closer than 0.1° are merged.

Peak list (10 most intense, 2θ from 10° to 90°, in order of rising 2θ)
index  two_theta  d_spacing  I (rel.)
1 1 0  24.1  3.686  308
1 0 1  25.1  3.546  290
1 1 1  30.5  2.932  1000
2 0 0  34.4  2.606  698
0 0 2  37.2  2.419  283
2 1 1  43.1  2.100  147
2 2 0  49.5  1.843  248
2 0 2  51.5  1.773  439
3 1 1  59.2  1.560  302
2 2 2  63.5  1.466  234

```
data_AgBiAsSe2
_chemical_formula_sum 'Ag1 Bi1 As1 Se2'
_space_group_name_H-M_alt 'P 4/m m m'
_space_group_IT_number 123
_space_group_name_Hall '-P 4 2'
_cell_length_a 5.213
_cell_length_b 5.213
_cell_length_c 4.839
_cell_angle_alpha 90.00
_cell_angle_beta 90.00
_cell_angle_gamma 90.00
loop_
_atom_site_label
_atom_site_type_symbol
_atom_site_fract_x
_atom_site_fract_y
_atom_site_fract_z
_atom_site_occupancy
Ag1 Ag 0.000 0.000 0.000 1
Bi1 Bi 0.500 0.500 0.000 1
As1 As 0.000 0.000 0.500 1
Se1 Se 0.000 0.500 0.500 1
```


# 2
Computed powder diffraction line list
Compound: Ag2AsBr5
Radiation: copper Kα
Structure: DFT lattice parameters and positions (PBE)
Lines closer than 0.1° are merged.

Peak list (10 most intense, 2θ from 10° to 90°, in order of rising 2θ)
index  two_theta  d_spacing  I (rel.)
1 0 1  13.4  6.598  449
0 0 2  15.7  5.630  1000
1 1 2  22.1  4.025  359
2 1 1  25.7  3.465  209
2 2 0  31.1  2.879  537
0 0 4  31.8  2.815  284
2 2 2  35.0  2.563  430
4 0 0  44.5  2.036  163
2 2 4  45.0  2.013  349
4 0 2  47.5  1.915  192

```
data_Ag2AsBr5
_chemical_formula_sum 'Ag4 As2 Br10'
_space_group_name_H-M_alt 'I 4'
_space_group_IT_number 79
_cell_length_a 8.142
_cell_length_b 8.142
_cell_length_c 11.260
_cell_angle_alpha 90.00
_cell_angle_beta 90.00
_cell_angle_gamma 90.00
loop_
_space_group_symop_operation_xyz
'x,y,z'
'-y,x,z'
'-x,-y,z'
'y,-x,z'
'x+1/2,y+1/2,z+1/2'
'-y+1/2,x+1/2,z+1/2'
'-x+1/2,-y+1/2,z+1/2'
'y+1/2,-x+1/2,z+1/2'
loop_
_atom_site_label
_atom_site_type_symbol
_atom_site_fract_x
_atom_site_fract_y
_atom_site_fract_z
_atom_site_occupancy
Ag1 Ag 0.000 0.500 0.000 1
As1 As 0.000 0.000 0.473 1
Br1 Br 0.000 0.000 0.264 1
Br2 Br 0.202 0.737 0.501 1
```

----------

Simulated powder diffraction line list of TcXeO4F5 for Cu Kα, from a DFT-relaxed cell (GGA-PBE, the Materials Project).

Atomic structure:
Cell lengths 9.430, 9.430, 5.400 Å; angles 90.00, 90.00, 127.53 degrees
Sites, in units of the cell vectors:
Tc 0.095 0.905 0.500
Tc 0.905 0.095 0.000
Xe 0.377 0.623 0.661
Xe 0.623 0.377 0.161
O 0.140 0.860 0.778
O 0.146 0.491 0.537
O 0.172 0.828 0.303
O 0.491 0.146 0.037
O 0.509 0.854 0.537
O 0.828 0.172 0.803
O 0.854 0.509 0.037
O 0.860 0.140 0.278
F 0.017 0.983 0.190
F 0.149 0.290 0.983
F 0.290 0.149 0.483
F 0.310 0.690 0.976
F 0.461 0.539 0.376
F 0.539 0.461 0.876
F 0.690 0.310 0.476
F 0.710 0.851 0.983
F 0.851 0.710 0.483
F 0.983 0.017 0.690
~~~
We’re very proud of our multifaceted team of primary care doctors, psychiatrists, nurse practitioners, masters-level therapists, behavioral health technicians, and nurses[KL1] . Our physician coordinator is a former IAFF member. To ensure that every treatment provider is equipped to meet the needs of IAFF members, we require that each staff member go through Fire Ops 101 training, as well as at least one “ride along” with the Prince George’s County Fire/EMS Department (IAFF Local 1619) in Maryland.
We celebrate every IAFF member’s graduation from treatment at the Center. Together with all IAFF members at the Center, we conduct a celebratory ceremony at the Renewal Plaza – an outdoor circular courtyard for a special ceremony to mark the end of treatment and the start of a new life in recovery.
Our relationship doesn’t end after you graduate from our Center. We’re committed to seeing you through your recovery and helping you stay healthy. That’s why our goal is to follow up with every IAFF member after treatment on a regular basis for more than one year beyond graduation. We want you and every other IAFF member to know that we’re always here for you, whether you need additional support in your recovery, have questions or need additional treatment.
To learn more about the IAFF Center of Excellence, or if you have questions about treatment, call us today. We’re here 24 hours a day, seven days a week.